Last Updated:Tuesday, 27 December 2022

Military Appreciation Month Wishes

Military Appreciation Month Wishes: Since 1999 the month of May has been observed as Military Appreciation Month in the United States of America.  May is a symbol of unity in the nation and honors the sacrifices of United States Armed Forces. This is to celebrate and thank the people who have served or currently serving the nation. The sacrifices made are remembered and thanked. This May is a perfect chance to express your gratitude to U.S military and their families for everything they do 365 days of the year.  Have high regards for past and present military families and celebrate Loyalty Day, VE Day, Military Spouse Appreciation Day, Armed Forces Day and Memorial Day. We are enjoying our freedom and secure life because of the sacrifices made by them. Below are well crafted beautiful Military Appreciation Month wishes, quotes and messages. Share them with family and friends who served the country and express your gratitude.

**Inserted here: data records**
........
Molecular formula: C36H39BaBr2ClN2O8P2
Method: DFT, the ωB97M-V functional and the def2-TZVPD basis

Calculated values
orbital gap = 4.33 eV
highest occupied orbital energy = -0.643 eV
LUMO level = 3.684 eV

Geometry as ORCA input:
```
! wB97M-V def2-TZVPD RIJCOSX def2/J DEFGRID3
* xyz -2 1
H 0.51209 5.42535 -4.27598
H -3.36070 2.65852 6.35522
C 0.00020 2.06655 -4.22709
C -2.75820 1.55389 4.62651
C 1.09622 1.02594 3.53205
O -1.26610 -1.13582 1.90311
H -3.37790 -0.93778 -2.05059
P -2.14820 -0.00930 2.40491
H 2.60466 5.11013 3.78554
C 2.86581 -0.31894 2.21667
H 1.50346 0.60265 -4.64381
C 1.01636 4.22666 2.66272
H -4.31791 6.92977 -1.41679
C -2.27914 1.60820 1.27131
H -1.71084 1.42142 -3.34984
C -3.09511 -0.68596 -1.01649
H -1.31077 5.46734 5.48765
C 2.23258 2.60081 -4.96433
C -3.70282 6.20314 -0.90015
H 3.69371 -0.94447 -0.51444
C 4.24710 -0.72890 -1.44331
H -1.25630 6.02530 1.42277
H -3.27637 -2.13934 3.83008
Ba -0.17860 0.42734 0.26469
H 1.12116 5.90434 5.59824
H -3.24750 2.06156 1.46593
C -1.21302 -0.24350 5.00093
O -3.29665 -3.80902 1.00440
O 0.07001 2.87388 0.06956
C 0.70506 5.37550 4.74937
H 3.88947 -1.35422 -2.25515
C -3.80551 4.85326 -1.20933
H -1.95257 1.33237 7.90393
O -3.79361 -1.82678 -0.21061
C -2.10449 4.32070 0.43274
C -4.97808 0.06504 1.91994
H -0.62224 -1.06404 4.61337
Br 0.80468 -1.11745 -2.25080
H -2.29423 1.20689 0.20214
H -3.39868 2.12241 3.96014
H -0.57056 -0.52297 7.02172
C -1.98523 0.50985 4.13412
O 0.39124 1.27811 2.47648
C 1.97402 3.96223 -4.85910
C -0.34933 3.98764 2.60590
H -1.22588 3.76734 -3.75487
N -1.02354 1.14876 -4.03813
C -2.74661 1.85021 5.97622
H 3.70074 -0.98143 2.54274
N 2.25107 -0.73106 0.98904
C -1.98516 5.68071 0.70158
H 5.32985 -0.74860 -1.34630
C 1.53862 4.93130 3.73348
C -3.00900 3.92802 -0.55690
C -5.39318 -2.14215 3.53678
O -3.95114 -3.98353 -1.25127
P -0.95185 3.07985 1.18654
C -4.11577 -1.64652 3.35396
H -3.09862 2.88588 -0.83901
C 1.26976 1.65981 -4.64360
C 1.92833 -0.24070 3.47365
H 3.21409 2.26021 -5.27143
C 0.72522 4.37013 -4.40820
C -1.96161 1.10092 6.84595
C -2.78080 6.61339 0.04795
Br 3.71957 1.08430 -1.87037
H -2.25978 4.27942 3.54866
C -0.25140 3.43873 -4.10245
C -6.47123 -1.54334 2.89846
H -2.67169 7.66539 0.28260
H 1.26984 -1.11185 3.40265
C -1.19584 0.05693 6.35524
H 2.48732 -0.27799 4.41524
C -6.25983 -0.43909 2.09050
H -3.88148 0.04001 -0.71247
H -0.70048 0.20626 -3.81908
H -7.08901 0.02451 1.57045
Cl -3.13831 -3.27920 -0.31183
C -1.19030 4.44718 3.60916
H -4.84654 0.92296 1.27558
H -5.54586 -3.00906 4.16724
C -0.66000 5.13249 4.68919
O -1.79774 -3.15444 -0.72832
H -4.50272 4.51756 -1.96696
C -3.89243 -0.54287 2.53482
H 2.74242 4.68964 -5.09054
H 1.65443 3.83844 1.87903
H 1.96189 -1.70439 1.13178
H -7.46972 -1.94406 3.02354
H 3.30673 0.67962 2.06829
O 1.09897 1.75948 4.52498
*
```


Molecular formula: C36H39BaBr2ClN2O8P2
Method: DFT, the ωB97M-V functional and the def2-TZVPD basis

Calculated values
orbital gap = 4.71 eV
highest occupied orbital energy = -1.157 eV
LUMO level = 3.551 eV
........

  • My gratitude for your sacrifices cannot be expressed through words. You are a real hero for me. Grand salute to the military. Happy Military Appreciation Month!
  • This month is to celebrate you guys. Thank you is not enough to express our gratitude to you and your families. For all the sacrifices and braveness, our respects to you. Happy Military Appreciation Month!
  • This is the month to honor all the men and women of our nation who sacrifice their life to protect and serve their country and countrymen.  A salute to their bravery and dedication! Happy Military Appreciation Month!
  • Military Appreciation Month Wishes
  • People like you have safe guarded us. You made sure we had our freedom and this guarantee made us take it for granted. Dear brothers and sisters, my respects to you all. Happy Military Appreciation Month!
  • I respect every bit of efforts and sacrifices you made for us. Serving in the military is no easy or ordinary job. Happy Military Appreciation Month!
  • Every military spouse and family cultivates a special kind of bravery. We honor you for this courage and sacrifices. Happy Military Appreciation Month!
  • To all our women and men in the military uniform, former, current and future, you are special and nearer to God. Thank you and god bless you and your families. Happy Military Appreciation Month!
  • Thank you to all our soldiers, our military. To all dead, living, past and present, much respect. Happy Military Appreciation Month!
  • This month respects, honors, remembers, acknowledges and recognizes all military personnel.  Happy Military Appreciation Month!
  • To the men and women who have served throughout the past and the ones in uniform serving the nation and all the Americans who have given up their life in the defense of our freedom that we enjoy till date. Thank you for your service. Happy Military Appreciation Month!
  • Our sound sleep is the charity of our men and women in our defense forces. With grateful heart, Happy Military Appreciation Month! 
  • Gratitude to our American heroes, who are in military uniforms and defending us from the enemies. You have won all battles with your devotion, courage and braveness.  Happy Military Appreciation Month!
  • Dear Military men, only because of you and the toll you paid by choice, only because of you the fame and laurels of our nation still fly high. Happy Military Appreciation Month!
  • You are the hero who understood to protect the freedom of the country. Thank you. Happy Military Appreciation Month! 
  • I express my gratitude for you. I will never forget your sacrifices. I will live by them. Happy Military Appreciation Month!

Appreciation Quotes for Martyrs/Deceased Soldiers

Appreciation Quotes For Martyrs Soldiers
  • There is no death higher than dying in service of one’s country. Your sacrifices are always remembered.
  • Happy Military Appreciation Month! Salutations to all the deceased soldiers.
  • All martyrs live in our loving memory. Happy Military Appreciation Month! Today, we remember you and your service for the country.
  • A real history is made by martyrs. The sacrifices of our men, generates events for history. Happy Military Appreciation Month!
  • All martyrs are alive through their works till the human race ends. Through history they are celebrated. Happy Military Appreciation Month!
  • The blood shed by martyrs will never go in vain. We will never forget the sacrifices made by them. Happy Military Appreciation Month!
  • We honor the chivalry of our servicemen and women who sacrificed their life for citizens and our country. Happy Military Appreciation Month!
  • The land has remained free for this long only because of brave military men and women. Gratitude and respect for all deceased soldiers. Happy Military Appreciation Month!
  • The martyrs have shown us what true heroism is. They will always be alive in people’s hearts. Happy Military Appreciation Month!
  • The deceased military men have given up their life fighting for the country. They are the life of this free country. Happy Military Appreciation Month!
  • Your life has shown us what bravery looks like. Even through your death you have displayed courage and heroism. Happy Military Appreciation Month!
  • There is no better death than dying while serving the motherland. You inspire many to serve their country. Happy Military Appreciation Month!
  • Dying for the country is the highest form of patriotism. Through death soldiers show their love of their motherland. Happy Military Appreciation Month!
  • Soldiers might die serving the nation but they are immortal because they are always alive in history and people’s memory. Happy Military Appreciation Month!
  • Living for a country is more meaningful than living a long life. You will be the most happy serving your country. Rest in peace, dear soldier.
  • Every year in the month of MAY, all martyrs are remembered and honored. They are always alive in citizen’s memories. Happy Military Appreciation Month!

Military Appreciation Quotes for a Military Friend

Military Appreciation Quotes For a Military Friends
  • Dear friend, thank you for taking all the risks and sacrifices you made.  Happy Military Appreciation Month!
  • I have known you since childhood. Your passion to serve the motherland was immense. We all love you our military friend. Happy Military Appreciation Month!
  • While I was busy securing my career and family, you chose to serve the country and safeguard its citizens. We are proud of you dear friend. Happy Military Appreciation Month!
  • Your joining the army in early days inspired many others to follow your path. You are a true patriot my friend. Happy Military Appreciation Month!
  • I am proud to be your friend and this land is proud of his brave son. Happy Military Appreciation Month!
  • You are a true leader, leading the country from front and safeguarding it. Happy Military Appreciation Month!
  • Success has always been yours since our growing up years. You will have great success in the military too my friend. Happy Military Appreciation Month!
  • I am proud of the choices you have made. You choose the country over everything else.  Military was your calling. Happy Military Appreciation Month!
  • Though we grew up together our wants are so different. I was bursting with pride when you chose to join the military. I am lucky to be your friend. Happy Military Appreciation Month!
  • You are worth all the respect and love you receive. You work day in and out to safeguard the country's freedom. Respect to you dear friend. Happy Military Appreciation Month!
  • I am out of words seeing your courage and bravery. You have risked yourself many times in the military. Proud of you. Happy Military Appreciation Month!
  • While we are pub hopping and partying, you are working day and night protecting our freedom. Hats off to your courage and patriotism. Happy Military Appreciation Month!
  • I am proud of you my dear friend. You are my real life hero. The way you toil day and night to safeguard us is commendable. Happy Military Appreciation Month!
  • You have always been strong and brave; you were just born to be a soldier. You are great my dear friend. Happy Military Appreciation Month!
  • You are my greatest inspiration my dear military friend. Your sacrifices and risks taken by you mesmerize me. Proud of you champ. Happy Military Appreciation Month!

Military Appreciation Month Wishes for a Military Brother

Military Appreciation Month Wishes For a Military Brother
  • Happy Military Appreciation Month! Our family is very proud of you dear brother. You inspire all the younger ones in the family to join the military.
  • Dear brother, now you have a very big family. The day you joined the military, the whole country became your family because family comes first. Happy Military Appreciation Month!
  • You have always been one man army, your strength and courage is unimaginable. Happy Military Appreciation Month, brother!
  • Military uniform has its own magic. The day I saw you in uniform, my chest swelled with pride and tears escaped my eyes. Proud of you brother. Happy Military Appreciation Month!
  • The mental strength is what made you a soldier today. Military is the toughest job and you are making it look cakewalk. Happy Military Appreciation Month!
  • Your physical strength always makes me think you were born to be a soldier. You are precious. Happy Military Appreciation Month!
  • Dear brother, we love you and love you more for serving our motherland. You’re an amazing soldier and a fabulous brother. Happy Military Appreciation Month!
  • May keep thinking what to do and make some difference for fellow citizens. And my brother is above these people because he is a proud soldier serving in the U.S military. Happy Military Appreciation Month!
  • I proudly tell my friends and family that my brother fights for your freedom. I always pray for your safety. Happy Military Appreciation Month!
  • We as a family always pray and wait for you till you are back home safe. Brother, Happy Military Appreciation Month!
  • Dear brother, your duty is to serve the country and as your sibling I will always support you and pray for you. Happy Military Appreciation Month!
  • You make the toughest job of being a soldier look so easy. Proud of you dear brother. Happy Military Appreciation Month!
  • You always inspire me to be a better person. Your sacrifices encourage me to serve the country in my little way. Happy Military Appreciation Month, brother!
  • Joining the military was a very brave decision you made. You overcame all your fears and gave up all your wants to be a soldier. You are a true patriot brother. Happy Military Appreciation Month!
  • Dear brother, you ensured the country’s peace ignoring yours. You made sure the nation sleeps well sacrificing yours. Happy Military Appreciation Month!

You are in the right place if you are looking for an exquisite collection of messages and wishes for past and present military service people and family. They sacrifice everything for the country and its citizens. This act of theirs needs appreciation. Paying our respects to deceased soldiers is very much needed. The sacrifices made by military spouses and kids need to be appreciated and applauded along with our soldiers. So this May, make sure you thank all the military men and women you know. Also include the ones martyred and their families. As a sweet gesture, send them these messages, wishes and quotes. Share Military Appreciation Month wishes with each individual and on social media.
